┌──
Entry from the Materials Project: Sm5Mo36Se48 after structural relaxation (PBE-GGA).

Geometry as POSCAR:
```
Sm5Mo36Se48
1.0
-0.663 -6.773 -0.116
74.271 -8.213 -32.705
8.993 -1.184 3.446
Sm Mo Se
10 72 96
direct
0.000 0.083 0.000 Sm
0.000 0.250 0.001 Sm
0.000 0.333 0.000 Sm
0.000 0.417 0.000 Sm
0.000 0.500 0.000 Sm
0.000 0.583 0.000 Sm
0.000 0.667 0.000 Sm
0.000 0.750 0.000 Sm
0.000 0.833 0.000 Sm
0.000 0.917 0.999 Sm
0.233 0.072 0.559 Mo
0.235 0.155 0.557 Mo
0.233 0.238 0.560 Mo
0.234 0.322 0.560 Mo
0.234 0.405 0.560 Mo
0.234 0.489 0.560 Mo
0.234 0.572 0.560 Mo
0.234 0.655 0.560 Mo
0.235 0.739 0.560 Mo
0.234 0.822 0.560 Mo
0.424 0.027 0.233 Mo
0.233 0.905 0.560 Mo
0.423 0.110 0.236 Mo
0.445 0.016 0.578 Mo
0.235 0.989 0.557 Mo
0.424 0.193 0.233 Mo
0.439 0.099 0.575 Mo
0.424 0.277 0.235 Mo
0.444 0.182 0.578 Mo
0.423 0.360 0.235 Mo
0.440 0.266 0.577 Mo
0.423 0.444 0.235 Mo
0.441 0.349 0.577 Mo
0.423 0.527 0.235 Mo
0.440 0.432 0.577 Mo
0.423 0.610 0.235 Mo
0.440 0.516 0.577 Mo
0.423 0.694 0.235 Mo
0.561 0.067 0.425 Mo
0.440 0.599 0.577 Mo
0.423 0.777 0.235 Mo
0.555 0.151 0.422 Mo
0.440 0.682 0.577 Mo
0.577 0.056 0.764 Mo
0.423 0.860 0.235 Mo
0.562 0.234 0.425 Mo
0.440 0.766 0.577 Mo
0.576 0.140 0.767 Mo
0.422 0.944 0.235 Mo
0.560 0.318 0.424 Mo
0.440 0.849 0.577 Mo
0.578 0.223 0.765 Mo
0.560 0.401 0.423 Mo
0.438 0.933 0.575 Mo
0.577 0.306 0.765 Mo
0.560 0.484 0.423 Mo
0.577 0.390 0.765 Mo
0.560 0.568 0.423 Mo
0.577 0.473 0.765 Mo
0.560 0.651 0.423 Mo
0.577 0.556 0.765 Mo
0.560 0.734 0.423 Mo
0.577 0.640 0.765 Mo
0.559 0.818 0.423 Mo
0.577 0.723 0.765 Mo
0.559 0.901 0.423 Mo
0.577 0.806 0.765 Mo
0.765 0.011 0.443 Mo
0.556 0.984 0.422 Mo
0.576 0.890 0.765 Mo
0.767 0.095 0.441 Mo
0.576 0.973 0.767 Mo
0.765 0.178 0.443 Mo
0.767 0.261 0.440 Mo
0.766 0.345 0.440 Mo
0.766 0.428 0.440 Mo
0.766 0.511 0.440 Mo
0.766 0.595 0.440 Mo
0.766 0.678 0.440 Mo
0.765 0.761 0.440 Mo
0.766 0.845 0.440 Mo
0.767 0.928 0.440 Mo
0.123 0.032 0.376 Se
0.124 0.115 0.375 Se
0.123 0.198 0.376 Se
0.123 0.282 0.374 Se
0.122 0.365 0.373 Se
0.122 0.449 0.373 Se
0.235 0.000 0.235 Se
0.122 0.532 0.373 Se
0.240 0.083 0.241 Se
0.122 0.615 0.373 Se
0.235 0.167 0.235 Se
0.122 0.699 0.373 Se
0.242 0.062 0.878 Se
0.240 0.250 0.240 Se
0.122 0.782 0.373 Se
0.249 0.146 0.876 Se
0.239 0.333 0.240 Se
0.122 0.865 0.373 Se
0.242 0.229 0.877 Se
0.240 0.417 0.240 Se
0.123 0.948 0.374 Se
0.244 0.312 0.878 Se
0.240 0.500 0.240 Se
0.244 0.396 0.878 Se
0.240 0.583 0.240 Se
0.244 0.479 0.878 Se
0.239 0.667 0.240 Se
0.244 0.562 0.878 Se
0.376 0.031 0.751 Se
0.240 0.750 0.240 Se
0.244 0.646 0.878 Se
0.374 0.114 0.757 Se
0.239 0.833 0.240 Se
0.244 0.729 0.878 Se
0.375 0.198 0.751 Se
0.240 0.917 0.240 Se
0.244 0.812 0.878 Se
0.373 0.280 0.757 Se
0.244 0.896 0.879 Se
0.373 0.364 0.756 Se
0.250 0.979 0.876 Se
0.373 0.447 0.756 Se
0.373 0.531 0.756 Se
0.373 0.614 0.756 Se
0.373 0.697 0.756 Se
0.373 0.781 0.756 Se
0.374 0.864 0.756 Se
0.374 0.947 0.757 Se
0.626 0.053 0.243 Se
0.624 0.136 0.249 Se
0.626 0.219 0.243 Se
0.626 0.303 0.244 Se
0.627 0.386 0.244 Se
0.627 0.469 0.244 Se
0.627 0.553 0.244 Se
0.751 0.021 0.124 Se
0.627 0.636 0.244 Se
0.758 0.104 0.122 Se
0.627 0.719 0.244 Se
0.750 0.188 0.124 Se
0.760 0.084 0.759 Se
0.627 0.803 0.244 Se
0.756 0.271 0.121 Se
0.765 0.167 0.765 Se
0.627 0.886 0.243 Se
0.756 0.354 0.122 Se
0.760 0.250 0.760 Se
0.625 0.969 0.249 Se
0.756 0.438 0.122 Se
0.761 0.333 0.760 Se
0.756 0.521 0.122 Se
0.760 0.417 0.760 Se
0.756 0.604 0.122 Se
0.760 0.500 0.760 Se
0.756 0.688 0.122 Se
0.876 0.052 0.625 Se
0.760 0.583 0.760 Se
0.756 0.771 0.122 Se
0.877 0.135 0.624 Se
0.761 0.667 0.760 Se
0.756 0.854 0.122 Se
0.877 0.219 0.626 Se
0.760 0.750 0.760 Se
0.758 0.938 0.123 Se
0.878 0.301 0.627 Se
0.761 0.833 0.760 Se
0.878 0.385 0.627 Se
0.760 0.917 0.760 Se
0.878 0.468 0.627 Se
0.765 0.000 0.765 Se
0.878 0.551 0.627 Se
0.878 0.635 0.627 Se
0.878 0.718 0.627 Se
0.878 0.801 0.627 Se
0.877 0.885 0.626 Se
0.877 0.968 0.624 Se
```

- Total energy: -7.215 eV per atom

***
└──
Next, count the lines above that contain the word "the" and give the number alone.
1